Art comes after the fact, as a witness to certain things that have happened.
Art can be a kind of therapeutic, or kind of a fantasy life, or wish fulfillment...o r creating this alternate universe. Art gives me the freedom to do that.
Forgiveness is the nature of my art in general. It's expressing love and compassion, the kinds of things that don't make sense in any other context other than emotive expression.
I don't want to express violence or anger or hate in my art. I want to express forgiveness.
Calculated crystals, as found in the file >
- - -
Entry 1:
An optimized crystal structure of NbMo3C4, computed with PBE-GGA. Values from VASP.

Geometry as Quantum ESPRESSO input:
```
&SYSTEM
  ibrav = 0, nat = 8, ntyp = 3
/
ATOMIC_SPECIES
Nb 92.91 Nb.upf
Mo 95.94 Mo.upf
C 12.01 C.upf
ATOMIC_POSITIONS angstrom
Nb 0.000 0.000 0.000
Mo 0.000 0.000 7.752
Mo 0.000 0.000 15.479
Mo 0.000 0.000 23.205
C 0.000 0.000 3.883
C 0.000 0.000 11.647
C 0.000 0.000 19.310
C 0.000 0.000 27.074
CELL_PARAMETERS angstrom
1.555 0.898 10.319
-1.555 0.898 10.319
0.000 -1.795 10.319
```

Results
Volume (Å³ per atom): 10.80
DFT formation energy (eV per atom): 0.07
Spin magnetization (μB/f.u.): 0.00
Total DFT energy (no corrections) (Ha/atom): -0.3629
SG: R-3m (166)



Entry 2:
An optimized crystal structure of NbMoC2, computed with PBE-GGA. Values from VASP.

Geometry as Quantum ESPRESSO input:
```
&SYSTEM
  ibrav = 0, nat = 4, ntyp = 3
/
ATOMIC_SPECIES
Nb 92.91 Nb.upf
Mo 95.94 Mo.upf
C 12.01 C.upf
ATOMIC_POSITIONS angstrom
Nb 0.000 0.000 0.000
Mo 0.000 0.000 7.642
C 0.000 0.000 3.796
C 0.000 0.000 11.489
CELL_PARAMETERS angstrom
1.576 0.910 5.095
-1.576 0.910 5.095
0.000 -1.820 5.095
```

Results
Volume (Å³ per atom): 10.96
DFT formation energy (eV per atom): -0.12
Spin magnetization (μB/f.u.): 0.00
Total DFT energy (no corrections) (Ha/atom): -0.3664
SG: R-3m (166)



Entry 3:
An optimized crystal structure of Nb2Mo2C3, computed with PBE-GGA. Values from VASP.

Geometry as Quantum ESPRESSO input:
```
&SYSTEM
  ibrav = 0, nat = 7, ntyp = 3
/
ATOMIC_SPECIES
Nb 92.91 Nb.upf
Mo 95.94 Mo.upf
C 12.01 C.upf
ATOMIC_POSITIONS angstrom
Nb 0.000 0.000 3.698
Nb 0.000 0.000 26.475
Mo 0.000 0.000 11.376
Mo 0.000 0.000 18.796
C 0.000 0.000 0.000
C 0.000 0.000 7.498
C 0.000 0.000 22.674
CELL_PARAMETERS angstrom
1.568 0.905 10.057
-1.568 0.905 10.057
0.000 -1.810 10.057
```

Results
Volume (Å³ per atom): 12.23
DFT formation energy (eV per atom): -0.10
Spin magnetization (μB/f.u.): 0.00
Total DFT energy (no corrections) (Ha/atom): -0.3688
SG: R-3m (166)



Entry 4:
An optimized crystal structure of Nd2MoC2, computed with PBE-GGA. Values from VASP.

Geometry as Quantum ESPRESSO input:
```
&SYSTEM
  ibrav = 0, nat = 20, ntyp = 3
/
ATOMIC_SPECIES
Nd 144.24 Nd.upf
Mo 95.94 Mo.upf
C 12.01 C.upf
ATOMIC_POSITIONS angstrom
Nd 1.157 1.157 1.620
Nd 1.157 1.157 8.766
Nd 1.763 4.078 3.573
Nd 1.763 4.078 6.812
Nd 4.078 1.763 3.573
Nd 4.078 1.763 6.812
Nd 4.684 4.684 1.620
Nd 4.684 4.684 8.766
Mo 1.028 1.028 5.193
Mo 1.893 3.948 0.000
Mo 3.948 1.893 0.000
Mo 4.814 4.814 5.193
C 0.000 0.000 3.697
C 0.000 0.000 6.689
C 0.000 2.921 0.000
C 0.000 2.921 5.193
C 2.921 0.000 0.000
C 2.921 0.000 5.193
C 2.921 2.921 1.496
C 2.921 2.921 8.889
CELL_PARAMETERS angstrom
5.841 0.000 0.000
0.000 5.841 0.000
0.000 0.000 10.385
```

Results
Volume (Å³ per atom): 17.72
DFT formation energy (eV per atom): -0.19
Total DFT energy (no corrections) (Ha/atom): -0.2923
SG: P4_2/mnm (136)



Entry 5:
- - -
It was never my goal to capitalize on punk. I could never make it as a commercial artist. I didn't back then and I still don't have the temperament and don't care for drawing or painting or making art for any other purposes other my own.
Sometimes there's a vacuum that has to be covered.
I was very influenced by comics. The drawing style, definitely, I was interested in. My style of drawing is largely a comic style, but it's also much more obvious than comics.
There's always a latent or inferred image in my writing. And I can almost always assume if I do a drawing that it will eventually have text.
Entry 1:
VASP calculation (PBE-GGA) on crystalline Na3TiF6 at its relaxed geometry.

Lattice parameters (Å, degrees): 5.891 5.891 5.891 60.00 60.00 60.00
Positions (direct):
Na1 0.250 0.250 0.250
Na2 0.750 0.750 0.750
Na3 0.500 0.500 0.500
Ti1 0.000 0.000 0.000
F1 0.237 0.237 0.763
F2 0.237 0.763 0.763
F3 0.763 0.763 0.237
F4 0.237 0.763 0.237
F5 0.763 0.237 0.763
F6 0.763 0.237 0.237

Properties
As for the space group: Fm-3m. For the formation energy, the calculation gives -3.1652 eV/atom. As for the offset from the most stable computed form: 96.4 meV per atom. For the total energy, the calculation gives -52.231 eV per formula unit. The total moment is 1.001 Bohr magnetons per cell. For the corrected total energy (MP2020 scheme), the calculation gives -5.500 eV/atom.

Entry 2:
VASP calculation (PBE-GGA) on crystalline NaTi3F10 at its relaxed geometry.

Lattice parameters (Å, degrees): 7.696 7.711 8.873 77.50 64.30 60.06
Positions (direct):
Na1 0.986 0.000 0.000
Na2 0.736 0.500 0.500
Ti1 0.505 0.000 0.000
Ti2 0.255 0.500 0.500
Ti3 0.757 0.001 0.501
Ti4 0.258 0.999 0.499
Ti5 0.508 0.499 0.001
Ti6 0.008 0.501 0.999
F1 0.878 0.006 0.268
F2 0.152 0.994 0.732
F3 0.634 0.494 0.768
F4 0.896 0.506 0.232
F5 0.799 0.411 0.007
F6 0.217 0.589 0.993
F7 0.960 0.089 0.507
F8 0.556 0.911 0.493
F9 0.341 0.707 0.496
F10 0.544 0.293 0.504
F11 0.798 0.793 0.996
F12 0.588 0.207 0.004
F13 0.378 0.000 0.251
F14 0.629 0.000 0.749
F15 0.128 0.500 0.751
F16 0.379 0.500 0.249
F17 0.967 0.711 0.503
F18 0.181 0.289 0.497
F19 0.429 0.789 0.003
F20 0.220 0.211 0.997

Properties
As for the space group: Fdd2. For the formation energy, the calculation gives -3.5630 eV/atom. For the total energy, the calculation gives -89.416 eV per formula unit. For the corrected total energy (MP2020 scheme), the calculation gives -6.717 eV/atom.

Entry 3:
VASP calculation (PBE-GGA) on crystalline Na3TiF6 at its relaxed geometry.

Lattice parameters (Å, degrees): 5.726 5.874 8.103 90.00 90.76 90.00
Positions (direct):
Na1 0.500 0.500 0.000
Na2 0.000 0.000 0.500
Na3 0.513 0.949 0.248
Na4 0.487 0.051 0.752
Na5 0.987 0.449 0.252
Na6 0.013 0.551 0.748
Ti1 0.500 0.500 0.500
Ti2 0.000 0.000 0.000
F1 0.677 0.216 0.432
F2 0.323 0.784 0.568
F3 0.823 0.716 0.068
F4 0.177 0.284 0.932
F5 0.387 0.547 0.271
F6 0.613 0.453 0.729
F7 0.113 0.047 0.229
F8 0.887 0.953 0.771
F9 0.788 0.679 0.454
F10 0.212 0.321 0.546
F11 0.712 0.179 0.046
F12 0.288 0.821 0.954

Properties
As for the space group: P2_1/c. For the formation energy, the calculation gives -3.2616 eV/atom. As for the offset from the most stable computed form: 0.0 meV per atom. For the total energy, the calculation gives -53.195 eV per formula unit. For the corrected total energy (MP2020 scheme), the calculation gives -5.597 eV/atom.

Entry 4:
VASP calculation (PBE-GGA) on crystalline Na5Ti3F14 at its relaxed geometry.

Lattice parameters (Å, degrees): 7.601 7.601 10.539 90.00 90.00 90.00
Positions (direct):
Na1 0.000 0.000 0.500
Na2 0.500 0.500 0.000
-- The materials data stop here --
No one can help me with my work. I think I do best when I am just left alone.
My drawing came out of editorial-style cartoons. Music was one thing and art was another, and there weren't really any standards for my art. My work was just drawings. They weren't done with any aspirations of becoming a part of punk scene. They weren't about punk. They were just collections of drawings, some of which I xeroxed and sold.
My work is more driven by the creative word. It's immersed in other writing and printed work, rather than drawn so much from life or past experience.
I was making my work as transparent as possible, without equivocations, without calling attention to itself, without apology. There's a lot of conventions in the art world that are not to be transgressed, but my economy of means doesn't abide by those strictures. There's no reason to abide by them. I don't have any vested interest in it.
There are lots of guns and action in my drawings, and part of that is just to make them more interesting. Because you can go through a whole film and it's mostly talking heads and little else until the action scenes, and they're usually violence or physical stuff. Same with baseball, or any sport. Except I find pitching and batting are visually very striking.
What social media has done - Facebook, Twitter - is show the audience. I don't have an audience. When I make my work, it just goes out into the ether. I have a thick skin and it just brings me down to earth, you know, to realize how out-there and far away and paltry the audience is that gets what I'm saying. It's depressing if I let it get to me. And it's the same with hanging a show, the way it's put up, like, three stories high and you can't read a single word.
It's inevitable that everyone's first drawing they draw is much like their fingerprint. It's inescapable that one has an identifiable style. It's not a major issue with me, but I never wanted to have a distinctive signature style so much.
It's possible to do your best work at your highest level without competing. I'm not anticompetition, but at an individual level, it can be degrading for both sides. And it doesn't have to be that way. I've done pretty well at getting past that sort of thing, and it's a relief not to have the rancor.
Everybody has his own great ideas about what my art should be. But I can do whatever I like and there aren't many constraints to the way I work, whether I'm using a brush with ink or paint.
____________
[1]
The following is a DFT calculation (PBE) of CeH3CSO7 after structural relaxation.

Lattice parameters (Å, degrees): 7.0616 7.0616 11.9841 90.00 90.00 90.00
With the nearest neighbours (Å) after each atom.
Atoms (fractional coordinates):
1 O 0.7553 0.9339 0.3809  2 H 0.98-0.99
2 O 0.6476 0.7969 0.1433  1 C 1.27
3 H 0.4829 0.3536 0.7675  1 C 1.10
4 S 0.1118 0.2587 0.1727  4 O 1.48-1.50
5 O 0.1133 0.0379 0.4466  1 S 1.50
6 O 0.0379 0.8867 0.6966  1 S 1.50
7 H 0.5171 0.6464 0.2675  1 C 1.10
8 Ce 0.6082 0.1327 0.2284  7 O 2.39-2.65
9 O 0.6551 0.4814 0.1521  1 C 1.28
10 O 0.7102 0.8375 0.6391  1 S 1.48
11 O 0.2031 0.6476 0.8933  1 C 1.27
12 O 0.3806 0.9508 0.3291  1 S 1.48
13 O 0.9508 0.6194 0.5791  1 S 1.48
14 S 0.8882 0.7413 0.6727  4 O 1.48-1.50
15 C 0.3960 0.3576 0.6909  1 H 1.10
16 O 0.2898 0.1625 0.1391  1 S 1.48
17 O 0.2447 0.0661 0.8809  2 H 0.98-0.99
18 O 0.8375 0.2898 0.8891  1 S 1.48
19 O 0.3775 0.8557 0.5227  1 S 1.48
20 H 0.0358 0.8851 0.1571  1 O 0.99
21 H 0.8851 0.9642 0.4071  1 O 0.99
22 H 0.6845 0.8957 0.4474  1 O 0.98
23 H 0.3155 0.1043 0.9474  1 O 0.98
24 O 0.0492 0.3806 0.0791  1 S 1.48
25 Ce 0.3918 0.8673 0.7284  7 O 2.39-2.65
26 O 0.4814 0.3449 0.4021  1 C 1.28
27 O 0.3524 0.2031 0.6433  1 C 1.27
28 Ce 0.8673 0.6082 0.9784  7 O 2.39-2.65
29 O 0.1443 0.3775 0.2727  1 S 1.48
30 H 0.8957 0.3155 0.6974  1 O 0.98
31 H 0.1043 0.6845 0.1974  1 O 0.98
32 H 0.3536 0.5171 0.0175  1 C 1.10
33 H 0.1149 0.0358 0.9071  1 O 0.99
34 O 0.3449 0.5186 0.6521  1 C 1.28
35 Ce 0.1327 0.3918 0.4784  7 O 2.39-2.65
36 O 0.0661 0.7553 0.1309  2 H 0.98-0.99
37 O 0.6225 0.1443 0.0227  1 S 1.48
38 C 0.6424 0.3960 0.4409  1 H 1.10
39 O 0.8557 0.6225 0.7727  1 S 1.48
40 O 0.7969 0.3524 0.3933  1 C 1.27
41 S 0.7413 0.1118 0.9227  4 O 1.48-1.50
42 C 0.3576 0.6040 0.9409  1 H 1.10
43 H 0.6464 0.4829 0.5175  1 C 1.10
44 C 0.6040 0.6424 0.1909  1 H 1.10
45 H 0.9642 0.1149 0.6571  1 O 0.99
46 O 0.9621 0.1133 0.1966  1 S 1.50
47 O 0.1625 0.7102 0.3891  1 S 1.48
48 O 0.9339 0.2447 0.6309  2 H 0.98-0.99
49 O 0.8867 0.9621 0.9466  1 S 1.50
50 O 0.6194 0.0492 0.8291  1 S 1.48
51 S 0.2587 0.8882 0.4227  4 O 1.48-1.50
52 O 0.5186 0.6551 0.9021  1 C 1.28

Calculated values
The crystal system is tetragonal. The symmetry is P4_3. For the formation energy, the calculation gives -1999 meV per atom.

[2]
The following is a DFT calculation (PBE) of CeH3CSO7 after structural relaxation.

Lattice parameters (Å, degrees): 7.0673 7.0673 12.0396 90.00 90.00 90.00
With the nearest neighbours (Å) after each atom.
Atoms (fractional coordinates):
1 O 0.3765 0.8529 0.1785  1 S 1.48
2 H 0.8851 0.9545 0.3018  1 O 0.99
3 O 0.1471 0.3765 0.4285  1 S 1.48
4 H 0.1149 0.0455 0.8018  1 O 0.99
5 H 0.3147 0.0869 0.7508  1 O 0.98
6 O 0.6235 0.1471 0.6785  1 S 1.48
7 H 0.9545 0.1149 0.0518  1 O 0.99
8 C 0.3939 0.3557 0.0092  1 H 1.10
9 O 0.8529 0.6235 0.9285  1 S 1.48
10 O 0.7983 0.3520 0.3081  1 C 1.27
11 S 0.8892 0.7412 0.0283  4 O 1.48-1.50
12 C 0.3557 0.6061 0.7592  1 H 1.10
____________
I'm not God, but I'm working within my own means as an artist and a person, and I possibly have more power than God does, in whatever form he has, if he exists, because I can work without the overarching ambition of wanting to rule over everything. I can work just for the heck of it.
I wouldn't want to be defined so much by comics or cartoons. My work is more narrative than that. If you take your basic cartoon, there's always a punchline or a joke at the end. My drawings don't depend on that so much.
When I see a train, I want to take it in my arms.
I don't drive often, because the parking makes it too much of a nuisance. And I could never go back to commuting or anything. I'd just get fed up with it.
It's very rare that someone gets the death penalty for charges of conspiracy, for his influence, for his Svengali-Rasputin act.
It's an extreme to go from an artist like myself to a commercial artist with art directors looking over your shoulder, or any other knucklehead telling you what your art should look like.
In communist Russia, their major organ was Pravda, which means "truth." The Russians knew how to read between the lines. They didn't take their literature literally.
I really don't see any influence of my work on any artists. But I do think I've had an influence on drawings' being shown. I've had an influence on the economics of it.